MKs call for Palestinian prisoners’ board to be designated as terrorist

The Commission of Prisoners’ Affairs holds a "central role" in disseminating the salaries to the families of terrorists serving time in Israeli prisons.

Prison cell block (photo credit: Wikimedia Commons)
Prison cell block
(photo credit: Wikimedia Commons)
Members of Knesset are calling for the Palestinian Authority’s Commission of Prisoners’ Affairs to be designated a terrorist organization by the Israeli government.
The Commission of Prisoners’ Affairs holds a "central role" in disseminating the salaries to the families of terrorists serving time in Israeli prisons.
“I call on you to add the Palestinian Commission of Prisoners’ Affairs to the List of Declared Prohibited and Terror Organizations. It is an organization whose very nature is to support terror, to which we should show zero tolerance,” MK Elazar Stern wrote to Defense Minister Benny Gantz, whose office holds the power to designate organizations as terrorist. “The Palestinian Authority uses different ways to circumvent the laws against supporting the families of terrorists, this step will be a meaningful way to stop it completely.”
# The text is interrupted by quantum chemistry results
=====
[1]
Molecular formula: C25H18F3N5O5SbSe4Sr
Method: DFT, wB97M-V/def2-TZVPD

## Properties
- energy above the lowest of the compared OMol25 structures with the same formula, charge and spin (kcal/mol) = 16.3
- largest force on an atom (eV/Å) = 1.0
- charge = -1
- total energy (Ha) = -11790.01149

Atoms and positions in Å:
Sr -0.188 -0.391 -1.095
O -0.604 0.856 -5.460
C -0.657 0.662 -4.230
N 0.042 -0.175 -3.479
C 0.882 -1.120 -4.174
C 0.889 -2.497 -3.538
C 1.405 -3.574 -4.260
C 1.479 -4.822 -3.672
C 1.025 -4.985 -2.368
C 0.527 -3.875 -1.718
N 0.456 -2.658 -2.283
C -1.713 1.465 -3.458
C -2.291 2.569 -4.076
C -3.319 3.238 -3.435
C -3.761 2.777 -2.200
C -3.132 1.674 -1.650
N -2.126 1.032 -2.259
H 1.930 -0.783 -4.204
H 0.583 -1.218 -5.221
H 1.762 -3.411 -5.269
H 1.908 -5.660 -4.208
H 1.101 -5.933 -1.853
H 0.212 -3.944 -0.680
H -1.921 2.851 -5.051
H -3.781 4.102 -3.897
H -4.570 3.260 -1.667
H -3.419 1.293 -0.673
O -1.381 0.557 0.824
C -0.613 1.553 0.737
O 0.424 1.612 0.020
C -0.985 2.791 1.526
C -1.141 4.002 0.863
C -1.501 5.147 1.560
C -1.696 5.096 2.931
C -1.521 3.881 3.573
C -1.173 2.722 2.898
N -1.728 3.820 5.039
O -1.240 2.884 5.647
O -2.268 4.775 5.577
H -0.969 4.041 -0.207
H -1.625 6.085 1.034
H -1.981 5.967 3.502
H -1.063 1.787 3.434
F 0.294 -0.449 5.879
C 1.398 -1.000 5.344
F 1.562 -2.196 5.935
F 2.442 -0.233 5.693
C 1.264 -1.142 3.856
C 2.226 -0.655 2.993
C 2.039 -0.837 1.631
N 0.981 -1.461 1.116
C 0.082 -1.945 1.970
C 0.164 -1.809 3.341
H 3.110 -0.152 3.356
H 2.779 -0.483 0.925
H -0.751 -2.489 1.538
H -0.600 -2.225 3.984
Se 5.704 -2.579 -0.039
Sb 4.030 -4.467 0.087
Se 2.757 -4.571 2.091
Se 4.575 -6.383 -1.212
Se 3.686 -2.378 -1.368


[2]
Molecular formula: C25H18N3O3S
Method: DFT, wB97M-V/def2-TZVPD

## Properties
- energy above the lowest of the compared OMol25 structures with the same formula, charge and spin (kcal/mol) = 0.2
- largest force on an atom (eV/Å) = 3.0
- charge = -1
- total energy (Ha) = -1751.61621

Atoms and positions in Å:
C 4.860 -3.227 0.073
O 4.489 -2.389 1.190
C 3.204 -1.976 1.342
C 2.935 -1.153 2.464
C 1.642 -0.790 2.766
C 0.544 -1.291 2.025
C -0.794 -1.163 2.571
C -1.706 -2.179 2.423
C -2.994 -2.189 3.029
N -4.042 -2.270 3.549
C -1.355 -3.414 1.800
N -1.090 -4.456 1.331
C 0.851 -1.935 0.801
C 2.144 -2.285 0.448
H 5.933 -3.355 0.194
H 4.366 -4.207 0.131
H 4.639 -2.732 -0.886
H 3.782 -0.866 3.086
H 1.436 -0.152 3.625
H -1.020 -0.303 3.210
H 0.036 -2.160 0.117
H 2.349 -2.838 -0.470
C 0.732 4.522 4.574
C 0.878 4.018 3.276
C 0.012 3.035 2.789
C -1.091 2.636 3.577
C -2.157 1.839 3.012
C -2.135 1.438 1.673
N -2.129 1.098 0.542
S -3.778 2.347 3.695
C -4.947 1.914 2.399
C -5.635 2.958 1.793
C -6.560 2.679 0.788
C -6.814 1.347 0.434
C -6.153 0.304 1.089
C -5.227 0.589 2.091
O -4.063 1.512 4.833
O -3.784 3.783 3.793
C -1.192 3.102 4.916
C -0.315 4.068 5.384
H 1.461 5.230 4.969
H 1.673 4.386 2.629
H 0.118 2.622 1.781
H -5.410 3.978 2.090
H -7.061 3.496 0.265
H -7.513 1.116 -0.378
H -6.348 -0.731 0.796
H -4.722 -0.214 2.616
=====
Stern's efforts are complimented by MK Avi Dichter, who in July 2018 passed the "Pay for Slay" legislation into law, stating that the State of Israel will deduct the amount of money that the Palestinian Authority gives to terrorists and their families from the taxes and tariffs Israel collects for the authority.
The law mandates that the government deduct, on a monthly basis, one-twelfth of the sum given to support terrorists and their families from the taxes and tariffs Israel collects and transfers to the Palestinian Authority.
This came into effect in February 2019, when Prime Minister Benjamin Netanyahu convened the security cabinet and made the necessary decision to offset the funds. The money has since started to be deducted.
“The outlawing of the Palestinian Commission of Prisoners’ Affairs would demonstrate the reality that it is not about rehabilitation but about bringing more and more Palestinians into the circle of terrorism,” said MK Oded Forer. “The Prime Minister and the Minister of Defense must act immediately to stop the transfer of benefits to the families of the terrorists and then ensure that the Palestinian Commission of Prisoners’ Affairs be declared an illegal terrorist organization.”
MK Matan Kahana also joined in on the call.
“The next necessary step, as recently recommended to US President Trump by Congressman Doug Lamborn, is to impose personal sanctions on public figures in the Palestinian Authority and the PLO involved in terrorist payments, as also stipulated in Israeli law,” Kahana said. “It should not be, that while other nations around the world, especially our friend the United States, are making efforts to eradicate this phenomenon of terror payments, Israel will continue to keep quiet.”
Kahana is referring to a letter sent to US President Donald Trump by Rep. Doug Lamborn (R-Colorado), demanding that the US impose personal sanctions on Palestinian Authority President Mahmoud Abbas and other senior PA officials - including the Palestinian Commission of Prisoners’ Affairs and its Director Qadri Abu Bakr - and designate them as terrorists. The letter was denounced by PA, PLO, Palestinian Islamic Jihad, DFLP and Fatah officials alike.
“Since the passing of the Taylor Force Act, and a similar law in Israel’s Knesset passed by my friends MKs Elazar Stern and Avi Dichter in July 2018, the Palestinian leadership has spent over NIS 1.2 billion, or $350 million, continuing to reward terror,” Lamborn wrote. “Since the Palestinian leadership have publicly attacked the passage of the Taylor Force Act, rejected its terms, and continue rewarding terrorists and their families, the appropriate next step in the US war on terror is to personally sanction those PA/PLO officials involved in this incentivizing of terror, as defined by the law. While there are many senior Palestinian officials involved in the ‘pay for slay’ program, the institution and the person most responsible are the PA/PLO Commission of Prisoners’ Affairs and its Director Qadri Abu Bakr.”
Lamborn was involved in initiating the Taylor Force Act, which was signed into law by Trump in 2018. It conditions US direct aid to the PA on the abolition of the PA’s payment of cash rewards to terrorists and their families.
"I thank the Members of Knesset from various parties for joining this initiative seeking to impose sanctions on PA institutions involved in transferring salaries to terrorists," said Director of the Middle East Forum Israel Office Nave Dromi. "This is an important step that will work to correct this injustice and save lives. These payments are the economic incentivization of Palestinian violent rejectionism and terror and until this is defeated, and Israel achieves victory, the conflict will not end."
Dromi led an initiative to send letters to the 120 MKs, calling on them to take the next step in designating the commission a terrorist entity.
“I welcome this important initiative by MKs. One of the great oversights in Israel's war on terror has been to ignore the involvement of the PA leaders and infrastructures they control," said the director of Palestinian Media Watch Itamar Marcus, whose report on the Palestinian Commission of Prisoners’ Affairs prompted Lamborn's request to Trump.
"The immunity from political consequences has been interpreted by the PA leaders as a green light to launch terror waves whenever they deem it politically expedient," Marcus added. "Targeting the PA institution that finances and rewards PA terror will send an important message to the international community and especially to the PA that no one involved in terror will have immunity."
Alon Einhorn and Khaled Abu Toameh contributed to this report.